texture rgba renderer Texture Rgba Renderer # A general texture helper which brings both of high...
installed apps Installed Apps # The Installed Apps plugin for Flutter provides utility methods related to...
flutter state notifier Welcome to flutter_state_notifier~ This repository is a side-package that is destined to be...
flutter custom cursor flutter_custom_cursor # This plugin allows to create/set a custom...
circular menu A simple animated circular menu for Flutter, Adjustable radius, colors, alignment, animation curve and animation...
cached video player Cached Video Player # A flutter plugin that has been forked from the...
rounded loading button plus rounded_loading_button_plus # ...
desktop multi window desktop_multi_window # A flutter plugin that create and manager multi window...
keyboard attachable keyboard_attachable # A Flutter package to build widgets that can be attached to the...
razorpay web Flutter Razorpay Plugin
agora rtm AgoraRtm # This Flutter plugin is a wapper for Agora RTM SDK.
google static maps controller google_static_maps_controller # The package provides simple and declarative access to...
flutter notification channel flutter_notification_channel # https://pub.dev/packages/flutter_notification_channel This plugin is made to register notification channels with...
fade shimmer fade_shimmer # A fade shimmer library to implement loading like latest facebook loading effect.
snapping sheet Snapping Sheet # A...
flutter map tile caching flutter_map_tile_caching # A plugin for 'flutter_map' providing advanced offline functionality.
cloudinary public cloudinary_public # This package allows you to upload media files directly...
highlight highlight # Dart Syntax highlighting library. If you are looking for Flutter...
stroke text Stroke Text Widget # A simple flutter package to add stroke (border) style to...
image fade ImageFade # A widget for Flutter that displays a placeholder widget while a specified...
animated theme switcher animated_theme_switcher # Animated theme switcher. This library starts from Peyman's...
advance pdf viewer2 advance_pdf_viewer2 # A flutter plugin for handling PDF files. Works on both Android...
custom marker overview # A package to convert Widget, Local image, Netwok image, Svg file to...
duration picker Duration Picker for flutter # Fork from flutter_duration_picker. https://github.com/cdharris/flutter_duration_picker A little widget for...
aws s3 api AWS API client for Amazon Simple Storage Service # Generated Dart library from...
svgaplayer flutter SVGAPlayer-Flutter # 简体中文 支持本项目 # 如果 SVGA-Flutter 为您提供了便利与帮助,诚恳建议您通过以下方式支持作者、贡献者持续为该项目发电。 轻点...
dart code metrics presets DCM Presets # DCM is an advanced linter for Dart and Flutter...
nanoid2 nanoid2 # Dart implementation of ai/nanoid. This is a fork...
eraser eraser # A Flutter plugin that allows notifications and iOS badge counts to be dismissed...
downloads path provider 28 downloads_path_provider_28 # Flutter plugin to get the downloads directory. ...
get it mixin Hi my friends, I recently published my new package watch_it https://github.com/escamoteur/watch_it, an overhauled...
worker manager Worker Manager # Worker Manager is a powerful and easy-to-use library that helps you...
download Cross-Platform file downloader for Dart and Flutter projects. Demo # Web Demo
native dio adapter Native Dio Adapter #
marqueer Transform to "Marquee" from any widget. Marquee # ...
flutter loggy Loggy Flutter extension # Extension for loggy please go there for the documentation.
over react OverReact # A library for building statically-typed React UI components using Dart. This...
pro image editor The ProImageEditor is a Flutter widget designed for image editing within your application. It...
flutter echarts 中文
dbcrypt DBCrypt # Port of jBCrypt to Dart. This system hashes passwords using a version...
chart sparkline chart_sparkline # Beautiful sparkline charts for Flutter. Online Demo #...
**Next to the text, the page also holds records of molecules:**
<<<
C37H121F9N50O32Ti | ωB97M-V/def2-TZVPD

Output
Total charge   -1
E_LUMO (spin up / spin down)   0.04522 / 0.03987 Ha
Expectation value of S²   3.75
Spin multiplicity   4

Last column: Löwdin charge in e.
Element x y z (Å)
O -1.947 -2.685 1.005  0.23
H -2.893 -2.846 1.011  0.08
H -1.667 -2.409 1.881  0.06
H -1.829 -1.903 0.462  0.06
Ti -4.499 -0.647 -0.660  0.68
C -0.452 4.930 4.119  -0.30
O -0.433 6.316 3.485  -0.17
O 0.395 4.175 3.285  -0.25
C -0.137 5.249 5.705  -0.61
F -0.391 4.157 6.325  0.17
F 1.062 5.672 6.060  0.17
F -1.015 6.148 6.207  0.12
C -1.674 6.980 3.534  -0.33
C -1.556 8.337 2.992  -0.08
H -1.718 8.437 1.919  0.08
H -2.375 8.881 3.463  0.08
H -0.619 8.829 3.253  0.08
H -2.154 7.117 4.502  0.11
H -2.480 6.525 2.958  0.11
H -1.468 4.549 4.012  0.13
C -4.753 -4.195 -0.947  -0.35
O -5.121 -5.175 0.101  -0.16
O -4.397 -3.048 -0.268  -0.24
C -3.715 -4.881 -1.926  -0.59
F -2.629 -5.255 -1.252  0.11
F -4.018 -6.040 -2.394  0.18
F -3.296 -4.148 -2.963  0.15
C -6.085 -6.180 -0.241  -0.24
C -6.148 -7.002 1.047  -0.08
H -6.658 -7.944 0.844  0.07
H -5.245 -7.234 1.612  0.09
H -6.790 -6.476 1.753  0.06
H -5.749 -6.856 -1.027  0.10
H -7.063 -5.799 -0.535  0.12
H -5.659 -4.069 -1.540  0.14
C -0.634 -0.447 -0.966  -0.33
O -0.079 -1.052 0.230  -0.15
O -2.034 -0.485 -0.715  -0.25
C 0.211 0.900 -1.218  -0.59
F 0.215 1.679 -0.160  0.16
F 1.462 0.763 -1.631  0.16
F -0.464 1.546 -2.164  0.13
C 1.335 -1.430 0.200  -0.18
C 1.733 -2.138 1.547  -0.03
H 1.141 -3.042 1.690  0.08
H 2.797 -2.373 1.558  0.05
H 1.665 -1.342 2.289  0.06
H 1.999 -0.568 0.139  0.10
H 1.493 -2.130 -0.621  0.11
H -0.453 -1.140 -1.788  0.14
C 6.504 1.652 -3.127  -0.72
O 6.511 1.640 -4.384  -0.03
N 5.442 1.952 -2.328  0.17
N 7.567 1.292 -2.426  0.16
H 5.570 1.776 -1.342  0.08
H 4.559 2.152 -2.777  0.05
H 8.408 1.038 -2.925  0.12
H 7.515 1.373 -1.421  0.09
C 5.369 3.184 1.511  -0.82
O 4.918 2.149 1.968  0.01
N 4.849 3.884 0.577  0.19
N 6.505 3.607 1.880  0.19
H 5.337 4.718 0.285  0.11
H 3.997 3.728 0.057  0.11
H 6.956 4.484 1.660  0.13
H 7.019 2.987 2.490  0.13
C -3.356 7.036 -3.110  -0.85
O -4.045 7.798 -3.715  0.05
N -2.869 7.410 -1.981  0.17
N -3.055 5.809 -3.368  0.17
H -2.982 8.404 -1.838  0.12
H -2.145 6.776 -1.676  0.06
H -3.413 5.471 -4.250  0.12
H -2.292 5.415 -2.837  0.05
C 2.984 6.707 2.259  -0.77
O 3.770 7.414 1.795  0.05
N 3.086 5.381 2.578  0.20
N 1.826 7.226 2.592  0.19
H 3.955 4.921 2.347  0.07
H 2.307 4.917 3.023  0.06
H 1.601 8.180 2.352  0.12
H 1.165 6.536 2.921  0.05
C -2.672 -5.270 6.709  -0.84
O -3.584 -5.779 7.287  0.06
N -2.783 -4.812 5.531  0.19
N -1.496 -5.095 7.221  0.17
H -1.865 -5.016 5.163  0.08
H -3.632 -4.745 4.988  0.09
H -0.718 -4.827 6.635  0.08
H -1.302 -5.195 8.207  0.12
C -5.214 -2.068 -4.338  -0.74
O -4.125 -1.649 -3.937  -0.02
N -5.389 -3.172 -5.004  0.19
N -6.343 -1.479 -4.119  0.19
H -6.351 -3.370 -5.241  0.11
H -4.589 -3.766 -5.167  0.12
H -6.269 -0.493 -3.912  0.11
H -7.267 -1.744 -4.429  0.12
C -4.158 2.241 -2.909  -0.86
>>>
**Here the text continues:**
modal progress hud modal_progress_hud # A simple widget wrapper to enable modal progress HUD (a modal...
group list view GroupListView package for Flutter. # A ListView that allows you to...
sp util sp_util # Flutter shared_preferences plugin util, support get default value, save object,...
scroll pos Scroll Position # Provides some additional functions to ScrollController to define item position...
svg flutter svg_flutter # Upgraded package for getting SVG Images with error handling. An upgrade to...
bluetooth thermal printer bluetooth_thermal_printer # The library allows printing receipts using a Bluetooth printer(Android...
animated background Animated Backgrounds for Flutter # Animated Backgrounds for Flutter. Easily extended to...
tab container Tab view/carousel widget with a beautifully animated indicator and simple usage. Just pass in...
kiwi kiwi # A simple yet efficient IoC container for...
sunmi printer plus sunmi_printer_plus # This is a fork from sunmi_printer , but i implemented a...
remixicon Remix Icon For Flutter # Simply Delightful Icon System and Easy to use in flutter,...
el tooltip ElTooltip - a smart positioned tooltip Why el_tooltip? # ...
path parsing path_parsing # Split from the Flutter path drawing library to create a pure Dart...
circular profile avatar circular_profile_avatar # CircularProfileAvatar is a Flutter package which allows developers to implement circular...
node interop Node Interop # Write applications in Dart, run in NodeJS. What...
expressions ❤️ sponsor expressions # A library to parse and evaluate simple expressions.
cpf cnpj validator CPF/CNPJ Validator # A Flutter plugin to validate CPF/CNPJ numbers from Brazil....
dotted dashed line About # This package allows you to draw a horizontal or vertical dashed...
credit card type detector credit_card_type_detector | Credit Card Type Detector # A Dart package that detects...
pip view pip_view # Widget to allow the presentation of a widget below a floating one....
mobkit dashed border Mobkit Dashed Border # The Mobkit Dashed Border is a border that provide...
dart mappable builder Builder for dart_mappable
infinite listview Flutter Infinite ListView # ListView with items that can be scrolled infinitely...
anim search bar Anim Search Bar #
datepicker dropdown Date Picker Dropdown # A Date picker Dropdown for Flutter with customizable...
camera windows Camera Windows Plugin # The Windows implementation of camera. Note: This plugin is...
get time ago get_time_ago # A Flutter package to convert and format DateTime object into get_time_ago...
system info2 system_info2 # A fork of system_info as the original maintainer no longer wishes to...
flutter pin code fields Flutter Pin Code Fields # A Flutter package to generate...
native exif native_exif # A simple EXIF metadata reader/writer for Flutter using native functions from iOS...
amap flutter location 前述 # 高德定位Flutter插件 登录高德开放平台官网分别申请Android端和iOS端的key 如需了解高德定位SDK的相关功能,请参阅Android定位SDK开发指南和iOS定位SDK开发指南 使用高德定位Flutter插件...
ua client hints User-Agent Client Hints for Flutter #
flutter locales flutter_locales # Localize your Flutter app to multiple locales within seconds Why Flutter...
disk space disk_space # Get the information about free and total disk space for you device.
photo gallery Photo Gallery # A Flutter plugin that retrieves images and videos from...
local auth windows local_auth_windows # The Windows implementation of local_auth. Usage # This package...
build Defines the basic pieces of how a build happens and how they interact. Builder #
launch at startup launch_at_startup # This plugin allows Flutter desktop apps to Auto launch...
fwfh svg SvgFactory # WidgetFactory extension to render SVG with...
model viewer plus 3D Model Viewer for Flutter # https://pub.dev/packages/model_viewer - Fork from a package that...
drop down list Dropdown List Choices # Highly versatile Widget to search through a single or...
flutter dialogs flutter_dialogs # A lightweight and platform-aware plugin for showing dialogs and alerts for both...
navigation history observer Flutter Navigation History Observer # A flutter navigation observer that adds access to...
number text input formatter Number Text Input Formatter # Number Text Input Formatter for Flutter....
country calling code picker Country Calling Code Picker # Searchable country picker widget ready to use...
fimber fimber # Extensible logging for Dart and Flutter. Package is based on famous Android...
flutter native timezone updated gradle flutter_native_timezone # A flutter plugin for getting the local timezone of...
inview notifier list inview_notifier_list # A Flutter package that builds a ListView or CustomScrollView...
appinio social share appinio_social_share supports sharing files to social media (Facebook, Instagram, Instagram Story, Messenger, Telegram, WhatsApp,...
charset converter Charset converter # Encode and decode charsets using...
azure application insights Azure Application Insights # What?...
time range picker Time Range Picker # A time range picker for flutter. Getting Started...
corsac jwt Lightweight implementation of JSON Web Tokens (JWT). Usage #...
flutter drawing board Flutter Drawing Board # A Flutter package of drawing board. Flutter artboard
flutter progress hud Flutter Progress HUD # Highly customizable modal progress indicator with fade animation....
fwfh cached network image CachedNetworkImageFactory # WidgetFactory extension to render...
flutter local notifications platform interface flutter_local_notifications_platform_interface # A common platform interface for the flutter_local_notifications plugin....
lazy load indexed stack lazy_load_indexed_stack # A package that extends IndexedStack to allow for lazy loading.
boxy About # Boxy is a Flutter package created to overcome the limitations of built-in layout...